Excerpt >
'''
# 1
Density functional theory data (ωB97M-V/def2-TZVPD) for a 2-piece molecular cluster, C10H11BrF2N2 overall in a non-equilibrium geometry.

Element x y z (Å)
C -3.9517 0.4938 0.0743
C -3.4875 -0.7816 -0.2016
C -3.0684 1.5593 0.0808
C -2.1455 -0.9869 -0.4630
C -1.7223 1.3529 -0.1708
C -1.2509 0.0775 -0.4416
C 0.7824 -1.0485 0.5166
C 0.2204 -0.2081 -0.6610
C 1.6870 -0.0841 1.1912
C 4.1304 -0.8493 0.2181
N 0.9978 1.0390 -0.6543
N 1.7224 1.0470 0.5258
F 3.8179 -1.6526 -0.8513
F 5.2406 -1.3894 0.7712
Br 4.6251 0.9467 -0.5440
H -4.9991 0.6554 0.2811
H -4.1685 -1.6192 -0.2101
H -3.4289 2.5563 0.2880
H -1.7873 -1.9819 -0.6841
H -1.0349 2.1833 -0.1606
H -0.0184 -1.3789 1.1805
H 1.3326 -1.9328 0.1892
H 0.3484 -0.7280 -1.6135
H 2.1233 -0.1910 2.1632
H 1.6040 1.1571 -1.4624
H 2.4311 1.7640 0.6384

Results
Charge: 0
Energy relative to the best compared isomer or geometry (same formula, charge and spin): 0.000 eV
Frontier orbital gap: 7.4 eV
HOMO: -7.19 eV
Total energy: -3270.793357 a.u.
Lowest unoccupied orbital energy: 0.187 eV

Atomic partial charges in e from the Mulliken method, atoms 1 to 6:
1 C -0.407
2 C -0.582
3 C -0.631
4 C -0.423
5 C -0.273
6 C -0.093

***

# 2
Density functional theory data (ωB97M-V/def2-TZVPD) for a 2-piece molecular cluster, C2H6NO2 overall in a non-equilibrium geometry.

Element x y z (Å)
C 1.0532 -1.4841 0.6785
C -0.3801 -0.4485 -0.8688
N 0.5557 -0.3998 0.0788
O 0.8527 0.7484 0.5546
O -0.6405 2.8756 0.6469
H 1.9169 -1.2232 1.3506
H 0.8888 -2.5950 0.4136
H -0.9323 2.0505 0.1456
H -1.0630 -1.3408 -0.9665
H -0.7702 0.6463 -1.1422
H 0.2724 2.6239 0.9377

Results
Charge: -1
Energy relative to the best compared isomer or geometry (same formula, charge and spin): 5.144 eV
Frontier orbital gap: 6.6 eV
HOMO: -1.98 eV
Total energy: -284.922016 a.u.
Lowest unoccupied orbital energy: 4.652 eV

Atomic partial charges in e from the Mulliken method, atoms 1 to 6:
1 C -0.680
2 C -0.753
3 N 0.468
4 O -0.787
5 O -0.703
6 H 0.230

***

# 3
Density functional theory data (ωB97M-V/def2-TZVPD) for C16H12AgF5N3SSe as an isolated structure in a non-equilibrium geometry.

Element x y z (Å)
Ag -3.8518 -2.3145 -13.3787
C -6.1911 -6.0357 -12.3025
C -5.5484 -6.1835 -13.5304
C -4.3836 -6.9894 -13.5863
C -3.8403 -7.4947 -12.4533
C -4.3973 -7.2675 -11.2070
C -5.5740 -6.4603 -11.1092
H -7.1021 -5.4660 -12.1125
H -5.9829 -5.8681 -14.4595
H -3.9729 -7.2083 -14.5891
H -2.9406 -8.0498 -12.4470
H -4.0046 -7.7971 -10.3798
H -5.9478 -6.1664 -10.1748
Se 0.0001 -5.4745 -14.0176
C -1.4380 -4.4305 -13.9347
N -2.3547 -3.6664 -13.8524
C -2.6204 -3.8750 -8.8106
N -3.8934 -3.1374 -8.9118
C -5.0069 -3.4764 -7.9878
C -4.1459 -2.5570 -10.1103
N -4.1257 -2.0643 -11.1585
H -1.8974 -3.5565 -9.6101
H -2.8409 -4.9628 -8.8049
H -2.1694 -3.6472 -7.8690
H -4.6889 -3.3289 -6.9514
H -5.3053 -4.5197 -8.1404
H -5.8967 -2.8988 -8.1505
F -5.4264 3.2972 -16.6267
C -5.7435 2.0477 -16.2318
C -6.7552 1.7186 -15.3294
F -7.6471 2.6194 -14.8109
C -6.9637 0.3994 -14.9541
F -8.0026 0.2328 -14.1567
C -6.0730 -0.6463 -15.2878
S -6.0158 -2.1837 -14.4839
C -5.0736 -0.3430 -16.2521
F -4.2421 -1.2472 -16.7557
C -4.9368 0.9870 -16.7181
F -3.9070 1.3214 -17.5558

Results
Charge: -1
Frontier orbital gap: 6.7 eV
HOMO: -4.45 eV
Total energy: -4227.090463 a.u.
Lowest unoccupied orbital energy: 2.270 eV

Atomic partial charges in e from the Mulliken method, atoms 1 to 6:
1 Ag 0.575
2 C -0.528
3 C -0.297
4 C -0.484
5 C -0.252
6 C -0.603

***

# 4
Density functional theory data (ωB97M-V/def2-TZVPD) for C18H43F6IrNO6S2Si2 as an isolated structure in a non-equilibrium geometry.

Element x y z (Å)
O -0.9612 -1.6617 -1.6435
O 0.8620 1.1520 -3.9040
C -0.0702 -2.7176 -2.0649
C -0.5587 -4.0568 -1.5372
H 0.9067 -2.4828 -1.6019
H 0.0472 -2.6931 -3.1646
H -0.5957 -4.0586 -0.4352
H 0.1286 -4.8404 -1.8728
H -1.5691 -4.2599 -1.9261
C -1.9151 -1.1583 -2.5663
C -1.5731 -1.2225 -4.0296
H -2.0446 -0.1057 -2.2646
H -2.8572 -1.6892 -2.3377
H -0.6828 -0.6522 -4.2955
H -2.4120 -0.7967 -4.5707
'''
Brief >
Work out how many lines earlier on have the word "Results" in them; a number is enough.
Completed >
3